Yoga guru Ramdev on Wednesday said that a conspiracy has been hatched to tarnish the image of Patanjali Ayurved, a day after the Supreme Court cautioned the company against making "false" and "misleading" claims in ads about its medicines as cure for several diseases. In a press meet on Wednesday, Ramdev said, "We will fight the case in the Supreme Court and present our side of the story." Acharya Balkrishna, who heads Patanjali Ayurved, was also present in the media briefing.

Ramdev said, "Since yesterday, on different media sites, one news story has gone viral that the Supreme Court reprimanded Patanjali. The SC said that if you do false propaganda, then you will be fined... We respect SC. But we are not doing any false propaganda. A few doctors have formed a group that continuously does propaganda against yoga, Ayurveda, etc... If we are liars, then fine us Rs 1,000 crore, and we are also ready for the death penalty. But if we are not liars, then punish the ones who are really spreading the false propaganda. For the past 5 years, propaganda has been going on targeting Ramdev and Patanjali..." 

Balkrishna also denied the charges that Patanjali has been throwing shade at modern medical science and doctors, and instead raised a call to stop what he called "propaganda" by allopathic medicine practitioners against the use of Ayurvedic medicines.

********
This record from Alexandria describes crystalline InRe4Si at its relaxed geometry. The functional is PBE.

Energy = -8.95 eV/atom
Raw formation energy = 705 meV per atom
Total magnetization = 0.00 μB/cell

abc: 5.2478 5.2478 5.2478
angles: 60.00 60.00 60.00
Closest atoms and distances in Å follow each position.
Element x y z (fractional)
In (0.0000, 0.0000, 0.0000)  12 Re 3.08, 4 Si 3.21
Re (0.6248, 0.6248, 0.1257)  6 Re 2.62-2.63
Re (0.6248, 0.1257, 0.6248)  6 Re 2.62-2.63
Re (0.6248, 0.6248, 0.6248)  6 Re 2.62-2.63
Re (0.1257, 0.6248, 0.6248)  6 Re 2.62-2.63
Si (0.2500, 0.2500, 0.2500)  12 Re 3.08, 4 In 3.21

---

This record from Alexandria describes crystalline InRe2Si at its relaxed geometry. The functional is PBE.

ΔE to the lowest computed polymorph = 125 meV per atom
Energy = -7.94 eV/atom
Raw formation energy = 326 meV per atom
Total magnetization = 0.00 μB/cell

abc: 3.9058 2.9516 5.8627
angles: 72.15 90.00 90.00
Closest atoms and distances in Å follow each position.
Element x y z (fractional)
In (0.5000, 0.7500, 0.7500)  2 Si 2.85, 8 Re 2.89-2.98, 2 In 2.95
Re (0.0000, 0.1035, 0.0393)  2 Si 2.42, 1 Re 2.70
Re (0.0000, 0.3965, 0.4607)  2 Si 2.42, 1 Re 2.70
Si (0.5000, 0.2500, 0.2500)  4 Re 2.42

---

This record from Alexandria describes crystalline InRe2Si at its relaxed geometry. The functional is PBE.

ΔE to the lowest computed polymorph = 352 meV per atom
Energy = -7.71 eV/atom
Raw formation energy = 553 meV per atom
Total magnetization = 0.00 μB/cell

abc: 4.8858 4.8858 4.8858
angles: 132.11 132.11 70.06
Closest atoms and distances in Å follow each position.
Element x y z (fractional)
In (0.7500, 0.2500, 0.5000)  8 Re 2.80-2.82, 4 Si 2.82
Re (0.0000, 0.0000, 0.0000)  4 Si 2.80, 4 Re 2.82, 4 In 2.82
Re (0.2500, 0.7500, 0.5000)  4 In 2.80, 4 Si 2.82, 4 Re 2.82
Si (0.5000, 0.5000, 0.0000)  8 Re 2.80-2.82, 4 In 2.82

---

This record from Alexandria describes crystalline TaIn2ReSi at its relaxed geometry. The functional is PBE.

Energy = -5.31 eV/atom
Raw formation energy = 1733 meV per atom
Total magnetization = 4.50 μB/cell

abc: 5.3744 4.8199 5.3744
angles: 90.00 90.00 90.00
Closest atoms and distances in Å follow each position.
Element x y z (fractional)
Re (0.5000, 0.5000, 0.5000)  8 In 3.61, 4 Si 3.80
Si (0.0000, 0.5000, 0.0000)  2 Ta 2.41
In (0.0000, 0.0000, 0.5000)  2 Ta 2.69
In (0.5000, 0.0000, 0.0000)  2 Ta 2.69
Ta (0.0000, 0.0000, 0.0000)  2 Si 2.41, 4 In 2.69

---

This record from Alexandria describes crystalline InRe2SiTe at its relaxed geometry. The functional is PBE.

Energy = -4.89 eV/atom
Raw formation energy = 2347 meV per atom
Total magnetization = 1.26 μB/cell

abc: 4.8866 5.5924 4.8866
angles: 90.00 90.00 90.00
Closest atoms and distances in Å follow each position.
Element x y z (fractional)
Re (0.0000, 0.0000, 0.5000)  2 Te 2.44
Re (0.5000, 0.0000, 0.0000)  2 Te 2.44
Si (0.5000, 0.5000, 0.5000)  4 In 3.46, 8 Re 3.71
Te (0.0000, 0.0000, 0.0000)  4 Re 2.44
In (0.0000, 0.5000, 0.0000)  2 Te 2.80

---
********

Ramdev, while refuting the allegations, said, "Money cannot decide truth and lie. They (allopathy) may have more hospitals, doctors and their voice may be heard more, but we have the inheritance of the wisdom of sages, we are not poor."

• Someone pasted calculated crystals at this point:
+++
1:
Fe4O5F3: optimized geometry, PBE with a Hubbard U.

Cell lengths 9.858, 9.858, 4.708 Å; angles 88.40, 88.40, 36.11 degrees
Each line ends with the local moment (μB).
Fractional coordinates of all 24 atoms:
Fe  0.000  0.500  0.000  4.30
Fe  0.255  0.745  0.000  4.27
Fe  0.745  0.255  0.000  4.27
Fe  0.500  0.000  0.000  4.30
Fe  0.366  0.366  0.473  4.34
Fe  0.634  0.634  0.527  4.34
Fe  0.873  0.873  0.439  4.36
Fe  0.127  0.127  0.561  4.36
O  0.926  0.427  0.710  0.26
O  0.427  0.926  0.710  0.26
O  0.297  0.297  0.806  0.18
O  0.047  0.047  0.819  0.17
O  0.549  0.549  0.813  0.14
O  0.953  0.953  0.181  0.17
O  0.451  0.451  0.187  0.14
O  0.703  0.703  0.194  0.18
O  0.573  0.074  0.290  0.26
O  0.074  0.573  0.290  0.26
F  0.170  0.673  0.679  0.12
F  0.673  0.170  0.679  0.12
F  0.804  0.804  0.792  0.13
F  0.196  0.196  0.208  0.13
F  0.327  0.830  0.321  0.12
F  0.830  0.327  0.321  0.12

## Properties
Symmetry   No. 12

---

2:
Fe4O5F3: optimized geometry, PBE with a Hubbard U.

Cell lengths 4.769, 4.769, 6.001 Å; angles 90.00, 90.00, 96.20 degrees
Each line ends with the local moment (μB).
Fractional coordinates of all 12 atoms:
Fe  0.991  0.009  0.740  4.33
Fe  0.991  0.009  0.260  4.33
Fe  0.522  0.478  0.500  3.18
Fe  0.495  0.505  0.000  4.05
O  0.816  0.184  0.500  0.27
O  0.309  0.308  0.757  0.05
O  0.309  0.308  0.243  0.05
O  0.692  0.691  0.757  0.05
O  0.692  0.691  0.243  0.05
F  0.807  0.193  0.000  0.13
F  0.191  0.809  0.500  0.14
F  0.184  0.816  0.000  0.10

## Properties
Symmetry   No. 38

---

3:
Fe4O5F3: optimized geometry, PBE with a Hubbard U.

Cell lengths 4.627, 5.528, 10.263 Å; angles 83.79, 90.00, 90.00 degrees
Each line ends with the local moment (μB).
Fractional coordinates of all 24 atoms:
Fe  0.277  0.757  0.261  2.78
Fe  0.196  0.237  0.743  4.28
Fe  0.220  0.509  0.987  4.34
Fe  0.266  0.997  0.504  3.16
Fe  0.723  0.757  0.761  2.78
Fe  0.780  0.509  0.487  4.34
Fe  0.804  0.237  0.243  4.28
Fe  0.734  0.997  0.004  3.16
O  0.975  0.525  0.320  0.14
O  0.948  0.266  0.069  0.17
O  0.919  0.010  0.834  -0.12
O  0.025  0.525  0.820  0.14
O  0.052  0.266  0.569  0.17
O  0.081  0.010  0.334  -0.12
O  0.458  0.732  0.428  -0.12
O  0.439  0.977  0.680  -0.03
O  0.561  0.977  0.180  -0.03
O  0.542  0.732  0.928  -0.12
F  0.931  0.772  0.586  0.07
F  0.069  0.772  0.086  0.07
F  0.429  0.237  0.915  0.11
F  0.457  0.482  0.173  0.05
F  0.543  0.482  0.673  0.05
F  0.571  0.237  0.415  0.11

## Properties
Symmetry   No. 7

---

4:
Fe4O5F3: optimized geometry, PBE with a Hubbard U.

Cell lengths 4.668, 7.690, 7.631 Å; angles 104.91, 92.17, 92.81 degrees
Each line ends with the local moment (μB).
Fractional coordinates of all 24 atoms:
Fe  0.529  0.871  0.617  2.74
Fe  0.453  0.635  0.874  4.32
Fe  0.523  0.340  0.103  4.29
Fe  0.498  0.131  0.384  3.15
Fe  0.022  0.764  0.262  4.34
Fe  0.969  0.516  0.504  4.33
Fe  0.994  0.248  0.758  3.17
Fe  0.008  0.990  0.993  4.12
O  0.799  0.732  0.471  0.06
+++
• The calculated crystals stop here:

The top court on Tuesday said all such false and misleading advertisements of Patanjali Ayurved have to stop immediately. The court will take any such infraction very seriously...," a bench comprising justices Ahsanuddin Amanullah and Prashant Kumar Mishra orally observed while hearing a plea of the Indian Medical Association (IMA).

Calculated crystals from another source follow:
********
1.
Computed, not measured: a relaxed ThZrAu crystal at the GGA-PBE level of DFT.

a b c (Å): 6.145 6.154 9.081
angles (deg): 90.00 109.77 90.00
Sites, in units of the cell vectors:
Th: 0.000 0.126 0.000
Th: 0.000 0.874 0.500
Th: 0.500 0.374 0.500
Th: 0.500 0.626 0.000
Zr: 0.413 0.126 0.827
Zr: 0.413 0.874 0.327
Zr: 0.913 0.374 0.327
Zr: 0.913 0.626 0.827
Au: 0.071 0.375 0.645
Au: 0.071 0.625 0.145
Au: 0.571 0.125 0.145
Au: 0.571 0.875 0.645

Results
- VASP energy: -6.58 eV/atom
- Offset from the most stable computed form: 189 meV/atom
- ΔH_f (0 K): -0.5 eV/f.u.

=====

2.
Computed, not measured: a relaxed ThZrAu2 crystal at the GGA-PBE level of DFT.

a b c (Å): 4.798 4.798 14.320
angles (deg): 90.00 90.00 120.00
Sites, in units of the cell vectors:
Th: 0.000 0.000 0.000
Th: 0.333 0.667 0.667
Th: 0.667 0.333 0.333
Zr: 0.000 0.000 0.500
Zr: 0.333 0.667 0.167
Zr: 0.667 0.333 0.833
Au: 0.000 0.000 0.228
Au: 0.000 0.000 0.772
Au: 0.333 0.667 0.438
Au: 0.333 0.667 0.895
Au: 0.667 0.333 0.105
Au: 0.667 0.333 0.562

Results
- VASP energy: -6.10 eV/atom
- Offset from the most stable computed form: 33 meV/atom
- ΔH_f (0 K): -1.9 eV/f.u.

=====

3.
Computed, not measured: a relaxed Th2ZrAu6 crystal at the GGA-PBE level of DFT.

a b c (Å): 8.292 8.292 3.290
angles (deg): 90.00 90.00 120.00
Sites, in units of the cell vectors:
Th: 0.333 0.667 0.000
Th: 0.667 0.333 0.000
Zr: 0.000 0.000 0.000
Au: 0.000 0.330 0.500
Au: 0.000 0.670 0.500
Au: 0.330 0.000 0.500
Au: 0.330 0.330 0.500
Au: 0.670 0.000 0.500
Au: 0.670 0.670 0.500

Results
- VASP energy: -5.38 eV/atom
- ΔH_f (0 K): -5.3 eV/f.u.

=====

4.
Computed, not measured: a relaxed ThZrAu2 crystal at the GGA-PBE level of DFT.

a b c (Å): 4.650 4.650 4.191
angles (deg): 90.00 90.00 90.00
Sites, in units of the cell vectors:
Th: 0.000 0.000 0.000
Zr: 0.500 0.500 0.000
Au: 0.000 0.500 0.500
Au: 0.500 0.000 0.500

Results
- VASP energy: -6.10 eV/atom
- Offset from the most stable computed form: 29 meV/atom
- ΔH_f (0 K): -1.9 eV/f.u.

=====

5.
Computed, not measured: a relaxed ThZrAu2 crystal at the GGA-PBE level of DFT.

a b c (Å): 3.473 3.473 7.561
angles (deg): 90.00 90.00 90.00
Sites, in units of the cell vectors:
Th: 0.000 0.000 0.000
Zr: 0.000 0.000 0.500
Au: 0.500 0.500 0.285
Au: 0.500 0.500 0.715

Results
- VASP energy: -6.13 eV/atom
- Offset from the most stable computed form: 0 meV/atom
- ΔH_f (0 K): -2.0 eV/f.u.

=====

6.
Computed, not measured: a relaxed ThZrAu crystal at the GGA-PBE level of DFT.

a b c (Å): 4.713 4.713 4.122
angles (deg): 90.00 90.00 120.00
Sites, in units of the cell vectors:
Th: 0.000 0.000 0.000
Zr: 0.333 0.667 0.500
Au: 0.667 0.333 0.500

Results
- VASP energy: -6.60 eV/atom
- Offset from the most stable computed form: 171 meV/atom
- ΔH_f (0 K): -0.6 eV/f.u.


# 1
VASP calculation (PBE-GGA) on ZrInW2 after structural relaxation.

Formation energy (eV per formula unit): 1.16
DOS(E_F) (states/eV/atom): 0.7385

Lattice parameters (Å, degrees): 4.038 4.038 4.551 90.00 90.00 90.00
********

The SC, on August 23 last year had issued notices to the Union health ministry and Ministry of Ayush and Patanjali Ayurved Ltd, on the plea of the IMA alleging a smear campaign by Ramdev against the vaccination drive and modern medicines.

During the brief hearing, the bench asked Patanjali Ayurved not to publish misleading claims and advertisements against modern systems of medicine. It said the bench may also consider imposing a fine of Rs 1 crore on every product if a false claim is made that it can cure a particular ailment. The Suprme Cpurt also asked the counsel appearing for the Centre to find a remedy to the issue of misleading medical advertisements where claims are being made about medicines that offer perfect cure of certain diseases.

The SC bench will now take up the plea of IMA for hearing on February 5, next year.